-- Work order --
Please echo every line below that contains the word "kJ".

-- Contents --
'''
Here is a relaxed structure of Hf2NbRe from the Alexandria database. Energies are from PBE. Values from VASP.

```
&SYSTEM
  ibrav = 0, nat = 4, ntyp = 3
/
ATOMIC_SPECIES
Hf 178.49 Hf.upf
Nb 92.91 Nb.upf
Re 186.21 Re.upf
CELL_PARAMETERS angstrom
4.715 0.000 0.000
0.000 4.715 0.000
0.000 0.000 3.356
ATOMIC_POSITIONS crystal
Hf 0.000 0.500 0.000
Hf 0.500 0.000 0.000
Nb 0.000 0.000 0.500
Re 0.500 0.500 0.500
```

Calculated values
**Calculated formation energy**: -29 kJ/mol of formula units
**Calculated total energy**: -10.681 eV/atom
**SG**: P4/mmm, No. 123
**Density of states at the Fermi level**: 7.320 states/eV per cell
'''

-- Here it is --
**Calculated formation energy**: -29 kJ/mol of formula units